Social Audit research on the implementation of Uma Kbi'it Laek (UKL) program
ISTORIA Ba ADVOKASIA: Implementasaun Programa TAPSA Iha Suku Lissadila no Suku Guico
- Iha Tinan 1991 Mota loes ninia luan 0.948 M2 actual mota loes ninia luan 2.690 KM 2, situasaun mota kada tinan família 831 hosi Suku Lissadila no Guisu lakon ninia rai, hela fatin no to’os kuaze 62.214 M2, inklui area transmingrasaun Block E. D no block C mós lakon ona iha suku Guico
- Iha tinan 2008, 2009, 2016,2018 no 2019, Mota vatubleter hetan afeitasaun ba familia 532 hosi Suku Lissadila, no famlia 299 hosi Suku Guico no uma kain 2 hetan estragus total (Abandona hela fatin tanba laseguru). Total uma kain 831 iha Suku Guico no Lisadila sempre hetan afeitasaun hosi mota vatubleter, família 831 sempre pániku bainhira udan bo’ot.
- Iha tinan 2019 no 2020 mota Ai-alulua afeta ba famelia 30 hosi Suku Guisu, no estraga to’os ulun 40 hó ninia ai –horis no lutu, inklui luhan animal, afeitasaun ne’e ba familia 30 iha Suku Guisu
Hosi audiénsia sira ne’e konklui katak “ “ Governu kompremete atu halo estudu téknika ida ba problema errosaun Mota Loes ho nune’e bele identifika nia nivel prioridade no Parlamentu Nasionál Liu hosi Prezidente Komisaun D sei prioritiza problema ne’e iha nia ajenda atu nune’e problema errosaun iha mota Loes bele tanba ba Planu Orsamentu Jeral Estadu ba tinan Fiskal 2022”. Atu konkretiza informasaun hosi lideransa komunitária ne’e iha data 22 Setembru 2021 No data 14 Outobru 2021 Parlamentu Nasionál liu hosi komisaun D no E halo Fiskalizasaun iha terrenu hosi fiskalizasaun ne’e prezidente Komisaun D sujere ba lideransa komunitária hodi prepara karta pedidu normalizasaun ba IGE hodi nune’e temporariamente evita impaktu komunidade sira.
- Loron 30 Setembru 2020 Ekipa MDI halo Audiénsia ho Assessor Politico Ministériu Obras Publika, Sr. Jorge Teme, konsidera problema ne’e importante no nia parte sei hato’o ba Ministru Obras Publika hodi bele halo planu bazeia ba dadus ne’ebé MDI nian.
- Loron 16 Setembru 2021 Parlamentu Nasionál Komisaun E Asuntu Infrastrutura Sr. Abel Pires katak; Komisaun sei halo diskusaun iha plenária no sei halo diskusaun ho Governu hodi bele tau orsamentu geral estadu iha tinan 2022, Komisaun E mos prepara ona data tentativa ba Fiskalizasaun iha tempu badak no Rekomenda ba MDI atu kontinua fasilita dadus ga informasaun ba Autoridade Suku Guico no Lisadila hodi fasilita sira nia prosesu dezenvolvimentu lokál.
- Loron 16 Dezembru 2020, Audiénsia entre Chefe Suku Guiço & Lissadila ho Assessor Polítika Primeiru Ministru, katak Governu sei konsidera problema ne’e emerjénsia no sei enkamina ba Ministerio Obras Publika hodi haruka tékniku halo survey no sei halo paresér ba MOP hodi tau planu Orsamentu Jerál Estadu iha Tinan 2021 ou 2022. Agora halo pedidu ba IGE para halo normalizasaun mota to’o udan para.
- Loron 14 Outobru 2021, Presidente Komisaun D ho nia komitiba to’o ona iha suku Rua hodi halo fiskalizasaun direta ba area mota Loes ho mota sira seluk ihz suku Suku Guico no Lisadila ne’ebé hetan errosaun no afeta ba komunidade. Iha fiskalizasaun ne’e Presidente Komisaun D, Sr. Antonio Bianco informa ba Chefe Suku Guico no Lissadila katak problema ne’e ita konsidera kategoria emerjénsia, infelizmente Governu seidauk bele tau iha Orsamentu Geral Estadu iha tinan fiskál 2022 maibé sei halo planu orsamentu iha tinan fiskál 2023.
History of the Advocacy :The Implementation Of Tapsa Program In Lissadila And Guico Villages
Since 2018 and 2019 community leaders, in Lisadilla and Guico villages, together with Mata Dalan Institute (MDI), have introduced the TAPSA program in which supported by CCFD and funded by the French Development Agency (FDA) for communities. The program introduced to communities in such a way to strengthen food sovereignty and bring the most resilient community against the climate change. The main objective in which MDI boned in this program is to show the local alternative development model in a way more realistic, participative, and environmental context that shows the potential information of the existent land with its planning and its preventive action. Through this program, MDI together with the community leaders conducted activities such as research on land use management participatory mapping approaches to identify spatial information and potential information of the villages.
The research results show the potential areas for the Agriculture sector and areas for dwelling that were in danger to flooding and erosion which will cause loss of land as has occurred in Guico and Lissadila villages:
- In 1991, the Loes river has (0.948m) width but currently the width of the Loes river has (2.690Km), The every year situation of the river brings 831 households of Lissadila and Guisu villages lost their lands, dwelling places and fields almost (62.214m), including the transmigration areas block E, D and C also have been lost in Guico village.
- In 2008, 2009, 2016,2018 and 2019, the Vatubleter rivers has affected the 532 families of Lissadila village, and 299 families from the Guico village and two houses were completely damaged (abandoned as an unsafe haven). A total of 831 houses in Guico and Lisadila villages are always affected by the Vatubleter river, 831 families are always panic when raining.
- In 2019 and 2020 the Ai-Alulua river affected 30 families from Guiço village and destroyed 40 heads of land together with plants and hedges, including animal pens. There were 30 families in Guico village who are affected by the river.
Based on this research, community leaders have created an action plan for community to mitigate the impacts or cause of flooding and erosion for communities. This community action plan identifies the importance of advocating for village problems to wake up the leaders attention in order to address the problems on the basis.
Since December 2020 community leaders mobilized their communities to hold a press conference in Guico village to affirm the demands of the community to the Government in providing concrete solutions to the problems of flooding and erosion that have impacted communities such as loss of houses and loss of agricultural production and in the beginning of 2021, community leaders met with relevant state entities such as;
- Political Advisor of the Prime Minister, Dr. Frei Guterres;
- Ministry of Public Works Policy Adviser, Mr. Jorge Teme,
- National Parliament Commission E for infrastructure affairs;
Results of the audience minutes and the accompaniment to the National Parliament’s monitoring.
- On December, 16th 2020, an audience between the community leaders of Guico and Lissadila villages and the Policy Advisor of the Prime Minister said that the Government will consider the emergency issue and will be forwarded to the Ministry of Public Works to send the technical staff for survey and suggest the Ministry of Public Works to also include it in the 2021 or 2022 General State Budget Plan. Currently, we are working on the request letter to IGE for the normalization of rivers.
- On September, 30th 2020 the MDI team held an audience with the Policy Adviser of the Ministry of Public Works, Mr. Jorge Teme, took into account that it such an urgent concern, and his part will inform to the Minister of Public Works in order to design a plan based on the data provided by MDI.
- On September, 16th 2021 the National Parliament Commission E on infrastructure issues Mr. Abel Pires said that: the commission will discuss in plenary and discuss with the Government so that it can be placed in the State Budget in 2022, the Commission E has also prepared a short-term attempt date and recommended MDI to continue facilitate data or information to the community leaders in such a way to foster the local development.
- On October, 14th 2021, the President of commission D and his entourage arrived in these two villages to supervise the area of Loes river and other rivers in Guico and Lisadila villages which has brought a tremendous negative impact to the community. In this monitoring, the President of Commission D, Mr. António Bianco, informed the village chiefs of Guico and Lissadila that the problem is categorized as an emergency concern, however unfortunately the Government can not be included in the Budget of the fiscal year of 2022 yet but the plan will be included in the Budget for the next fiscal year of 2023.
MDI nia Relatoriu Auditoria Finansa (tinan Fiskal 2015)
Relatoriu prelimanaria MDI nian Konaba Implementasaun Programa IMPLEMENTASAUN PROJETU PNDS- UMA KBIIT LAEK (UKL) Hosi Governu, Relatoriu ne'e Prepara hosi ONG Mata Dalan Institute (MDI) liu Hosi monitoriamentu iha programa Auditoria Sosial ba Insfraestrutura bazika. relatoriu ne'e bele assesu iha link neé
Ekipa MDI no Gabineti UAS halaó audensia hó DGDR no DN-ST.PNDS
Ekipa MDI no UAS aprezenta Rezultadu Deskobrementu Implementasaun Polítika Infrastrutura Liu Husi PDIM iha Munisipiu Tolu ba ADN
Deskobrementu espesífiku mak konstrusaun fíziku Lao tarde liu iha implementasaun mekanizmu ba periodu 2019, preokupasaun ne’e sei prejudika ba dezempeña dekretu lei númeru 15/2016 Art. 39 Rezolusaun kontratu. Bazeia Rezultadu aprezentasaun deskobrementu ne’e Koordenadór PMU senor Demistolles Cabral (ADN) hala’o klasifikasaun no esplikasaun kona ba sistema prosesamentu dezeñu planu programa no prosesu dezeñu tékniku kona bá konstrusaun fíziku ninia lala’ok, Senor Koordenadór PMU rekoñese situasaun konstrusaun fíziku lao tarde iha terrenu, iha situasaun ne’e mosu laos parte jestor tékniku sira la halo prosesamentu tékniku maibé, kauza impasse polítika afeta tebes ba prosesamentu tékniku administrasaun no tékniku implementasaun konstrusaun fíziku sira, nune’e fó impaktu ba konstrusaun 6 ninia implementasaun lao tarde no ninia finalizasaun mós lao tarde.
Hatutan tan mós katak prosesamentu distribuisaun dokumentu konstrusaun (dezeñu konstrusaun no BoQ) distribui tarde ba parte owner projetu no kompañia tanba, sistema implementasaun Programa PDIM antes dezeñu tekniku konstrusaun fisiku, parte Komisaun dezenvolvimentu Munisipiu (KDM) hafoin aprezenta planu no aprova ona iha Parlamentu Nasional, mak ADN halo prosesu verifikasaun tékniku depois halo prosesu dezeñu tékniku projetu nune’e tempu barak liu oferese ba prosesamentu burokrasia Polítika no tékniku.
Ekipa MDI mós hala’o aprezentasaun kona ba Kompañia Tonijo ninia Preokupasaun kona ba hamenus kuantidade osan husi AND ba pedidu pagamentu, Senor Aleixo Da Costa (Tékniku ADN) halo esplikasaun katak “tuir rejimentu ne’ebé́ bainhira kompañia pedidu pagamentu hetan verifikasaun progresu konstrusaun fíziku hó realistiku, bainhira kompañia hato’o pedidu pagamentu” konstrusaun fíziku ladún realistiku, ADN sei fó pagamentu deit ba progresu fíziku iha terrenu liu husi prosesu verifikasaun tékniku. Maibé laos hamenus pedidu pagamentu.
Ekipa MDI mós aprezenta rezultadu konstrusaun fíziku ne’ebé́ ladún asesivel, nune’e Koordenador PMU senor Demistolles Cabral rekoñese konstrusaun fíziku ne’ebé́ ladún asesivel tanba orientasaun polítika finansiamentu seidauk orientadu. Nune’e parte tékniku hala’o dezeñu konstrusaun fíziku bazeia ba definisaun polítika finansiamentu ne’ebé́ nesesáriu.
Pesoál ne’e mós hala’o esplikasaun katak konstrusaun fíziku ne’ebé́ bazeia ba orientasaun polítika ne’e laos razaun fundamentu, maibé ko’alia kona ba ema hó defisiénsia ne’e mandatu konstituisaun, nune’e ADN sei halo esforsu oinsá atu hala’o koordenasaun hó Asosiasaun ema hó defisiénsia atu hare asuntu tékniku sira, atu nune’e bele ajusta prinsipiu konstrusaun fíziku ba ema hó defisiénsia ninia padraun sira.
Iha diskusaun naruk ne’e mós reprezentante Unidade Auditoria Sosiál Gabinete Primeiru Ministru (UAS-GPM) Senor Salvador Da Crus rekomenda ba ADN atu iha kooperasaun di’ak hó sosiedade Sivíl hanesan MDI, nune’e bele hare lisuk ba konstrusaun públiku sira liu –liu iha implementasaun mekanizmu polítika PDIM ba Nivel Local nian.
Molecular data from another source follow
Formula: C35H27N5O5SV
Source: the Open Molecules 2025 dataset
Level of theory: wB97M-V/def2-TZVPD

## Properties
molecular weight: 680.64 g/mol
relative energy (zero: lowest compared OMol25 entry of this formula, charge and spin): 10.3 kcal per mole
<S²>: 0.87
energy: -90945.24767 eV
highest occupied orbital energy (alpha / beta): -1.466 / -1.407 eV
net charge: -2
orbital gap (alpha / beta): 5.913 / 5.855 eV
multiplicity: 2

Positions of all 74 atoms, in Å:
V 0.42896 -0.91987 -0.12242
O 0.26264 -2.93441 -0.20708
C 0.99030 -3.77905 -0.84572
C 0.42672 -4.98992 -1.32964
C 1.17751 -5.90887 -2.02287
C 2.54179 -5.70007 -2.26007
C 3.12179 -4.54869 -1.77275
C 2.37990 -3.58312 -1.08420
C 3.07186 -2.45838 -0.49597
N 2.53478 -1.41175 -0.00849
C 3.39531 -0.50087 0.72980
C 3.28149 0.92327 0.23495
N 2.00928 1.53380 0.56128
C -0.32945 1.05839 0.29006
C -0.66003 1.12480 1.72411
C -1.58380 2.00225 2.27438
C -1.85193 1.99747 3.63902
C -1.17209 1.10301 4.46000
C -0.27756 0.18651 3.92900
C -0.04893 0.13384 2.54239
O 0.63922 -0.83122 1.97926
H -0.62936 -5.14765 -1.14747
H 0.70244 -6.81152 -2.39249
H 3.12690 -6.42857 -2.80713
H 4.18333 -4.37138 -1.92023
H 4.16097 -2.56817 -0.42707
H 3.08116 -0.54201 1.77374
H 4.44239 -0.82357 0.65126
H 4.05482 1.53152 0.69220
H 3.39725 0.95185 -0.85612
H -1.04933 1.43383 -0.43720
H -2.07565 2.71584 1.62156
H -2.56876 2.69337 4.05924
H -1.35969 1.10530 5.52946
H 0.21606 -0.54535 4.55947
C -4.41749 -1.48976 2.72640
C -4.77925 -0.81872 1.56523
C -3.88351 -0.70280 0.51592
C -2.61278 -1.26205 0.62995
C -2.24202 -1.92972 1.79168
C -3.15025 -2.04346 2.83340
N -1.65241 -1.12481 -0.40827
N -2.14303 -1.08520 -1.56402
C -1.17338 -0.92074 -2.56028
C -1.62072 -0.78276 -3.87793
C -0.68668 -0.60242 -4.87770
C 0.66866 -0.54240 -4.54758
C 1.08416 -0.65965 -3.23054
C 0.17784 -0.85583 -2.18568
H -5.11585 -1.56309 3.55181
H -5.76020 -0.36510 1.48491
H -4.13854 -0.16825 -0.38816
H -1.24436 -2.33892 1.87235
H -2.85232 -2.54992 3.74329
H -2.68415 -0.80698 -4.08661
H -1.00101 -0.47819 -5.90724
H 1.39983 -0.37046 -5.33025
H 2.14292 -0.56077 -3.00764
O 2.99829 3.28849 1.58306
C 2.03608 2.84989 0.96109
N 0.95599 0.97103 -0.16639
S 1.25501 3.34430 -2.21407
O 0.05234 3.21399 -3.08547
O 2.09102 4.53132 -2.58719
C 0.46588 4.03741 -0.66548
C -0.53819 4.97706 -0.87089
C -1.09717 5.66303 0.19173
C -0.65090 5.42296 1.48741
C 0.33841 4.48374 1.70775
C 0.89015 3.76995 0.64263
H -0.85808 5.14865 -1.89298
H -1.88323 6.39171 0.01691
H -1.08411 5.96095 2.32388
H 0.69276 4.27692 2.71072
Soru-mutu entre MDI Unidade Auditoria Sosiál husi Gabinete Primeiru Ministru no Ajénsia Dezenvolvimentu Nasional (ADN) foti konkluzaun ida katak inisiativa soru-mutu ne’e meus importante atu bele haforsa liu tan kooperasaun sira hodi fó hanoin lisuk ba dezempeña implementasaun konstrusaun fíziku sira ne’ebé́ implementa iha Nivel Nasional no Munisipiu.